
Pembroke Rotary Club Chronicle



On Duty: Alan Pailing did yeoman service today on duty.

Attendance: 24of 40 members (60.0%)

Honorary Members: none

Visiting Rotarians: none

Guests: 3 today, Nigel Muir and Ryan Taylor both guests of Maurice Darlington, as well as our special speaker, Diane Kirwin, guest of Sasha Castle.

Exchange Students: none

Birthdays: Andrew Doughty (Nov 2), Lee Brackeberg (Nov 6), and Sinclair Raynor (Nov 9)

Anniversaries: John & Sony Kessaram (Nov 3)

Raffle: was won byPresident Bob who presented our speaker Diane with a set of glass coasters

Attached: calculated molecules:
# C14H23Cl2O2P2Rh

C14H23Cl2O2P2Rh as an isolated structure at a distorted geometry (the ωB97M-V functional and the def2-TZVPD basis, the OMol25 dataset).

Results
expectation value of S² = 6.017
multiplicity = 5
Kohn-Sham gap (spin up / spin down) = 0.3231 / 0.1501 Eh
HOMO energy (spin up / spin down) = -15.3 / -15.4 eV
charge = +2

```
44
Properties=species:S:1:pos:R:3:lowdin_spin:R:1
C 1.273 -3.842 -2.475 0.000
C 1.012 -3.157 -1.230 0.001
H 0.613 -4.571 -2.907 0.000
H 2.193 -4.392 -2.116 0.000
H 1.543 -3.100 -3.234 0.000
O 0.159 -2.759 -0.473 0.006
Cl 2.761 -2.533 -1.066 0.004
Rh -0.246 1.397 -0.341 2.064
P 0.207 1.198 -2.625 0.235
C -1.252 1.881 -3.507 0.026
C 1.615 2.364 -2.858 0.046
H 1.741 -0.560 -3.322 0.000
H 0.825 0.030 -4.738 0.011
H 0.053 -1.068 -3.580 0.000
C 0.752 -0.227 -3.668 0.056
H 2.478 1.942 -2.325 0.002
H 1.888 2.507 -3.914 0.010
H -1.058 2.101 -4.568 0.006
H -1.578 2.811 -3.017 0.001
H 1.362 3.328 -2.400 0.000
H -2.095 1.171 -3.455 0.001
C -2.016 1.091 -0.472 0.195
O -3.033 1.575 -0.279 0.119
Cl 0.395 3.488 0.197 0.560
C 2.042 0.672 1.931 0.083
P 0.464 -0.145 1.465 0.309
C 0.802 -1.932 1.778 0.048
C -0.812 0.166 2.740 0.056
C -1.337 -0.861 3.551 0.021
C -2.408 -0.622 4.421 0.009
C -2.942 0.696 4.509 0.048
C -2.413 1.710 3.746 0.002
C -1.338 1.470 2.886 0.046
H 2.805 0.229 1.274 0.000
H 2.242 0.515 2.990 0.015
H 1.949 1.742 1.725 0.004
H 1.086 -2.136 2.815 0.010
H -0.091 -2.508 1.509 0.000
H 1.597 -2.246 1.098 0.000
H -0.945 -1.888 3.514 0.001
H -2.794 -1.418 5.070 0.000
H -3.776 0.852 5.191 0.002
H -2.777 2.743 3.883 -0.001
H -0.945 2.286 2.274 0.004
```

* * * * *

[1]
A 3-piece molecular cluster, C4H18N2O2 overall in a non-equilibrium geometry, computed with the ωB97M-V functional and the def2-TZVPD basis.

Output
HOMO energy (alpha / beta) ... -22.212 / -21.748 eV
Multiplicity ... 2
<S²> ... 0.75
Total charge ... +3
Energy relative to the best compared isomer or geometry (same formula, charge and spin) ... 37.7 kcal per mole
LUMO (alpha / beta) ... -10.551 / -19.221 eV
Gap between HOMO and LUMO (alpha / beta) ... 11.66 / 2.53 eV

Positions of all 26 atoms, in Å:
C1 1.80 1.97 -1.55
C2 0.73 1.34 -0.67
C3 1.28 -0.12 -0.31
C4 1.03 -0.55 1.16
N1 0.98 -2.07 1.17
N2 -0.62 1.24 -1.39
H1 2.89 1.79 -1.12
H2 1.90 1.68 -2.60
H3 1.70 3.12 -1.56
H4 0.45 1.95 0.31
H5 2.46 -0.10 -0.65
H6 0.67 -0.96 -1.01
H7 1.95 -0.36 1.69
H8 0.11 -0.06 1.58
H9 1.53 -2.55 0.50
H10 1.31 -2.58 2.09
H11 0.00 -2.52 1.12
H12 -1.19 2.01 -0.98
H13 -0.98 0.32 -0.91
H14 -0.65 1.21 -2.43
H15 -2.73 3.24 0.35
H16 -3.21 1.65 0.52
O1 -2.76 2.31 0.04
H17 -1.15 -4.29 0.87
H18 -2.31 -3.87 1.72
O2 -1.52 -3.54 1.23

Mulliken population analysis, charges in e, atoms 1 to 5: C -1.25; C 0.42; C -1.01; C -0.39; N -0.35

***

[2]
C42H44F9Ge2OPdSSbTe as an isolated structure, computed with the ωB97M-V functional and the def2-TZVPD basis.

Output
HOMO energy ... -1.641 eV
Multiplicity ... 1
Total charge ... -2
LUMO ... 4.104 eV
Gap between HOMO and LUMO ... 5.74 eV



  • I.T. Quiz: November 24th Monday,is our 3rd annual event, to be held at 6:30pm at Cedarbridge this year. Computer guru Alan Pailing has the event plans all in order, with almost all the high schools interested, sponsors arranged, prizes ready (laptops for the winning teams, I-Pods for all participants), and agreement from the Ministry to have the show broadcast on CITV! Great job Alan; we are sure all members will heed President Bob’s call to attend to lend a hand, or simply to cheer on the participants.
  • R.I. Foundation Auction: December 4thThursday, we will meet for dinner (not breakfast) for our annual fundraising auction in support of our commitment to be a 100% club. That works out to $100 per member per year and we raise those funds by having fun. Plan to attend with your spouse and/or guests for a great dinner. Fun evening starts at 7:00pm. Auctioneer extraordinaire Bob Flath has the evening plans well in hand.
  • Children’s Christmas Party:December 14thSunday, we will be at Windreach from 2:00pm to 4:00pm. Volunteers will be needed before, during and after so be sure to say yes when Sasha Castle asks for your assistance closer to the date!
  • Archive Material:Delano Ingham brought along more goodies today for interest. Ken Siggins (who is always looking for new stories) will post the material on our website for all to see. Included this week were our Constitution and Bylaws (to be updated and amended as appropriate) as well as an historical photo showing Paul Harris’ visit to BermudaMarch 17, 1926. Delano said he was there to greet Paul – hhmmm!


Sgt at Arms, Charles Jeffers, finally caught up with David Furtado who has been avoiding the usual fines for birthday and anniversary. Also fined were latecomers including George Scott. Sgt Charles told us a story about golfing like Ray & Ray – starting off like Ray Floyd and finishing like Ray Charles!

Having sat at the Sgt’s table today, it crossed my mind that we really don’t need to import comedians for the annual comedy shows on the island. We can do very well right here with Sgt Charles, Gary Edwards, George Cubbon and Phil Every in particular! The jokes were flying fast and furious this morning! Of course it doesn’t hurt to have Sister Barbara (Edwards that is) in the audience as she sure does enjoy a good joke!


International Service: Sasha Castle introduced us to special guest, Diane Kirwin, of the Kirwin Foundation to bring news of our Water Project in India. Diane was born and educated in Bermuda, now lives in California, and travels annually to India for 3 to 4 months each year. There she is involved with many humanitarian projects for children as well as adults.

It all started when Diane noticed a group of kids lining up for hours to await polio vaccines with nothing to do. She took some toys the next year and has done so ever since. This led to donations of goods and money that have resulted in 5 schools being built. Also arranged were operations for such things as cleft palates and club feet that are caused by the mother’s poor health during pregnancy.

Diane and her Foundation are involved in making contacts with key people and Rotarians in the area of our water project and involved with us first hand to make this happen! Investigations show that $12,000 will provide 5,000 people with water – and that is the Bermuda Rotary’s amount before matching grants, so our impact should be twice that! Sasha will be getting a short video presentation from Diane very soon and we look forward to seeing the details!

Many thanks Sasha for making this connection; we look forward to this exciting project coming to fruition!

Treasurer: Bob Flathwas away today but reports are we are sound financially.

Secretary: Lisa Wagnerwas also away so there was no report

Club Service: Barbara Edwards indicated she is in the early stages of investigating a possible involvement with Diabetes and Children; more details to follow.

Community Service: Gilda Furbert is working with Habitat Bermuda and the other Bermuda Rotary Clubs to form an alliance to assist with Habitat projects. This will be a ‘hands-on’ series of projects that we can volunteer with as they arise; sounds interesting, and fun!

Vocational Service: Donna Daniels was away, but President Bob reported the 4 Bermuda students left on their adventure Friday last, so that great programme is in hand once again.

Exchange Students: Barbara Edwards reminded us there are 7 students currently on-island and noted that they had been in attendance at the Banquet in On to Bermuda.

Group Study Exchange: Delano Ingham reported difficulties with making this happen but the deadline for applications has been extended. George Scott is investigating this as well, so hopefully it will get resolved.


November 06, 2008:

Duty: David Thompson & Don Voisey

Programme: Alfred Maybury – intro by George Cubbons


A Bit of Fun! A few more signs provided for our weekly enjoyment:

In a Podiatrist's office: 'Time wounds all heels.'

On a Plumber's truck: 'We repair what your husband fixed.'

On an Electrician's truck: 'Let us remove your shorts.'

Enjoy your week!Don Voisey, Editor